We can lift someone with a kind word (fill their bucket) or use words and actions to hurt someone and make them sad. (Dipping in their bucket.)
When you help your students focus on filling someone's bucket, you're creating a respectful, caring, and kind climate. When you have such a positive environment, it's natural that disruptive behaviors are reduced.
A win-win situation for all of us! I am such a huge fan of bucket filling, that I'm giving all of the activities away for free. Sign up for my newsletter and get them all today!
We talk about the "POWER" in my class. The power to knock the wind out of someone or put the wind in their sails. I tell them they have to be brave and use their power for GOOD.
Here are some of the books I read to kick off our Bucket Filling year-long activities.
We love this video in our class and I often hear kids singing it on their own.
I like to play it during snack time and play it often.
One of the year-long Bucket Filling activities I do in my class is to have kids write compliments to each other and place them inside of the buckets. Once I set up the buckets and run off copies of slips, it practically runs itself. (I don't use the Pom Pom system I often see. It's great but my focus is to have the kids to steer this activity...not me.)
1. I spend the first few weeks modeling writing compliments for all of my students. They get to see at least 20 examples before they start writing their own.
2. While not an easy concept, I work on teaching them to compliment kind actions...things the person does or says rather then the physical attributes of their friends.
"You helped me tie my shoes so I didn't trip." vs. "You are pretty."
One of the year-long Bucket Filling activities I do in my class is to have kids write compliments to each other and place them inside of the buckets. Once I set up the buckets and run off copies of slips, it practically runs itself. (I don't use the Pom Pom system I often see. It's great but my focus is to have the kids to steer this activity...not me.)
How I Implement Bucket Filling:
1. I spend the first few weeks modeling writing compliments for all of my students. They get to see at least 20 examples before they start writing their own.
2. While not an easy concept, I work on teaching them to compliment kind actions...things the person does or says rather then the physical attributes of their friends.
"You helped me tie my shoes so I didn't trip." vs. "You are pretty."
3. The first few times we write our own compliments, I have them write one for a specific person: the person sitting next to you, your math partner, etc. This way, everyone is guaranteed to get one.
Once we're into a month of school, I let the kids write compliments whenever they have free time. I assign for a Do-Now from time to time.
NOTE: The first year I did this, I didn't monitor the notes until I happened to pick one off the floor by the buckets: "Stop picking your nose." Eek!
So now, once a day, I randomly pull out a note and read it to myself in front of the kids, smile, touch my heart if especially meaningful, and put back in all without saying a word. Keeps them focused on PURPOSE of the notes.
As the year progresses, compliments become more meaningful and heartfelt. Such an easy activity to implement and one that parents, kids, and I all love!
I bought my buckets in Michael's about 10 years ago. You can use beach buckets, baggies, lunch bags...it doesn't matter what you use as long as the kids fill them up!
Included in my FREE packet are these posters. Which one is your favorite? Mine? Be the Nice Kid.
Here's an anchor chart I made with my kids about a month after introducing Bucket Filling. I want them to have a good sense of what Filling Buckets looks, sounds, and feels like. I like to wait a bit before making this with the class to be sure they understand the concepts presented. Plus, I want these words to be theirs...not mine. (Headers included in free packet!)
Calculated crystals, as found in the file >
=====
No. 1
CaTl4Sb: single point on PBEsol structure, meta-GGA SCAN.

Results
Calculated density (g/cm³): 9.4
Space-group type: F-43m, No. 216
Final energy (eV per atom): -56.107
Formation energy (no corrections) (eV per atom): -0.048

Unit cell a=6.263 b=6.263 c=6.263 alpha=60.00 beta=60.00 gamma=60.00
Positions (direct):
Ca: 0.000 0.000 0.000
Tl: 0.126 0.625 0.625
Tl: 0.625 0.126 0.625
Tl: 0.625 0.625 0.126
Tl: 0.625 0.625 0.625
Sb: 0.250 0.250 0.250

=====

No. 2
CaTlSb2: single point on PBEsol structure, meta-GGA SCAN.

Results
Calculated density (g/cm³): 7.4
Space-group type: Cmmm, No. 65
Final energy (eV per atom): -39.548
Formation energy (no corrections) (eV per atom): -0.412
ΔE to the lowest computed polymorph (meV/atom): 47

Unit cell a=5.694 b=5.694 c=3.524 alpha=90.00 beta=90.00 gamma=106.81
Positions (direct):
Ca: 0.000 0.000 0.000
Tl: 0.500 0.500 0.000
Sb: 0.000 0.500 0.500
Sb: 0.500 0.000 0.500

=====

No. 3
CaTlSb2: single point on PBEsol structure, meta-GGA SCAN.

Results
Calculated density (g/cm³): 7.2
Space-group type: Pmmm, No. 47
Final energy (eV per atom): -39.583
Formation energy (no corrections) (eV per atom): -0.447
ΔE to the lowest computed polymorph (meV/atom): 12

Unit cell a=4.154 b=4.182 c=6.501 alpha=90.00 beta=90.00 gamma=90.00
Positions (direct):
Ca: 0.000 0.000 0.000
Tl: 0.000 0.000 0.500
Sb: 0.500 0.500 0.223
Sb: 0.500 0.500 0.777

=====

No. 4
CaTlSb2: single point on PBEsol structure, meta-GGA SCAN.

Results
Calculated density (g/cm³): 7.5
Space-group type: I4/mmm, No. 139
Final energy (eV per atom): -39.585
Formation energy (no corrections) (eV per atom): -0.449
ΔE to the lowest computed polymorph (meV/atom): 10

Unit cell a=5.873 b=5.873 c=5.873 alpha=132.59 beta=132.59 gamma=69.30
Positions (direct):
Ca: 0.000 0.000 0.000
Tl: 0.500 0.500 0.000
Sb: 0.250 0.750 0.500
Sb: 0.750 0.250 0.500

=====

No. 5
CaTlSb2: single point on PBEsol structure, meta-GGA SCAN.

Results
Calculated density (g/cm³): 7.3
Space-group type: Cm, No. 8
Final energy (eV per atom): -39.542
Formation energy (no corrections) (eV per atom): -0.406
ΔE to the lowest computed polymorph (meV/atom): 53

Unit cell a=6.260 b=6.260 c=5.133 alpha=112.47 beta=112.47 gamma=36.92
Positions (direct):
Ca: 0.000 0.000 0.000
Tl: 0.767 0.767 0.221
Sb: 0.227 0.227 0.669
Sb: 0.513 0.513 0.519

=====

No. 6
CaTl2Sb: single point on PBEsol structure, meta-GGA SCAN.

Results
Calculated density (g/cm³): 8.6
Space-group type: P4/mmm, No. 123
Final energy (eV per atom): -48.368
Formation energy (no corrections) (eV per atom): -0.458
ΔE to the lowest computed polymorph (meV/atom): 0

Unit cell a=4.626 b=4.626 c=5.128 alpha=90.00 beta=90.00 gamma=90.00
Positions (direct):
Ca: 0.000 0.000 0.000
Tl: 0.000 0.500 0.500
Tl: 0.500 0.000 0.500
Sb: 0.500 0.500 0.000

=====

No. 7
CaSb2W: single point on PBEsol structure, meta-GGA SCAN.

Results
Calculated density (g/cm³): 9.1
Space-group type: P4/mmm, No. 123
Final energy (eV per atom): -38.053
=====
Are You a Bucket Filler is a short book for the kids that also follows a pattern.
Do you share with your friends? You do? Then you are a bucket filler!
Do you help others when they need it? You do? Then you are a bucket filler!
Class books like "We Are Bucket Fillers" are fun for the kids to contribute to and so easy to do! In this book, kids simply fill in their name at the top: ___ is a Bucket Filler. Then they draw and write about how they fill a bucket. (Also a version with no writing included.) Because of the repetitive phrase, kids can at least read half of the book independently.
The below activity can be done at any time. I tend to wait until the second half of the year and have the kids work in small groups to read and complete. Why do kids love little flaps so much?
Another way I keep my Bucket Fillers motivated is to leave one of these certificates on their desks. Kids bring them home and parents have a great visual as a conversation starter. Anything to strengthen the home-school connection is another win.

I wrote a little song , BUCKET FILLER, to the tune of Mary Had a Little Lamb that often becomes a song we sing for transitions. By the time we finish, desks cleared, cleaned up, snacks done, etc. are over. Just another way to keep the Bucket Filling message front and center each day.
Each time we use this Chit Chat, I send it home hoping parents can also have a chit chat about it!
Is there a child you never gets compliments?
Short answer: No.
But in reality, yes.
I have a rule that EVERYONE must get at least one in their bucket before we can take home on Friday. If there are empty buckets, the compliments stay in buckets until following week when we'll check again.
We have some deeper conversations about this:
1. Looking for the good in someone.
2. If you are not getting many, why could that be?
This is hard for First Graders BUT it can be done.
Someone pasted data records at this point.
- - -
The following is a DFT calculation (GGA-PBEsol) of an optimized crystal structure of Re2RuRh.

Cell: 2.705 2.705 7.677 Å, 90.00 90.00 90.00°
Space group P4mm (No. 99)
Inequivalent atoms, fractional coordinates:
Re (0.000, 0.000, 0.000) [1 per cell]
Re (0.500, 0.500, 0.268) [1 per cell]
Ru (0.500, 0.500, 0.768) [1 per cell]
Rh (0.000, 0.000, 0.506) [1 per cell]

Summary:
Raw total energy = -11.25 eV/atom

---

The following is a DFT calculation (GGA-PBEsol) of an optimized crystal structure of BaFeAs2Pb.

Cell: 4.880 4.880 5.110 Å, 90.00 90.00 90.00°
Space group P4/mmm (No. 123)
Inequivalent atoms, fractional coordinates:
Ba (0.000, 0.000, 0.000) [1 per cell]
Fe (0.500, 0.500, 0.500) [1 per cell]
As (0.000, 0.500, 0.500) [2 per cell]
Pb (0.500, 0.500, 0.000) [1 per cell]

Summary:
Raw total energy = -5.21 eV/atom

---

The following is a DFT calculation (GGA-PBEsol) of an optimized crystal structure of TaTiTlO5.

Cell: 6.428 3.793 18.755 Å, 90.00 90.00 90.00°
Space group Pnma (No. 62)
Inequivalent atoms, fractional coordinates:
Ta (0.226, 0.250, 0.107) [4 per cell]
Ti (0.180, 0.250, 0.466) [4 per cell]
Tl (0.229, 0.250, 0.799) [4 per cell]
O (0.035, 0.250, 0.381) [4 per cell]
O (0.062, 0.750, 0.931) [4 per cell]
O (0.145, 0.750, 0.492) [4 per cell]
O (0.159, 0.250, 0.201) [4 per cell]
O (0.241, 0.750, 0.078) [4 per cell]

Summary:
Formation energy (no corrections) = -2.54 eV/atom

---

The following is a DFT calculation (GGA-PBEsol) of an optimized crystal structure of P2WSeS.

Cell: 4.493 4.493 4.577 Å, 90.00 90.00 90.00°
Space group P4/mmm (No. 123)
Inequivalent atoms, fractional coordinates:
P (0.000, 0.500, 0.000) [2 per cell]
W (0.000, 0.000, 0.500) [1 per cell]
Se (0.500, 0.500, 0.000) [1 per cell]
S (0.500, 0.500, 0.500) [1 per cell]

Summary:
Formation energy (no corrections) = 1.58 eV/atom

---

The following is a DFT calculation (GGA-PBEsol) of an optimized crystal structure of NaAsF6.

Cell: 8.061 8.061 8.061 Å, 90.00 90.00 90.00°
Space group Fm-3m (No. 225)
Inequivalent atoms, fractional coordinates:
Na (0.000, 0.000, 0.000) [4 per cell]
As (0.000, 0.000, 0.500) [4 per cell]
F (0.000, 0.000, 0.282) [24 per cell]

Summary:
Formation energy (no corrections) = -2.40 eV/atom

---

The following is a DFT calculation (GGA-PBEsol) of an optimized crystal structure of AlCrIn.

Cell: 6.179 6.179 6.179 Å, 90.00 90.00 90.00°
Space group F-43m (No. 216)
Inequivalent atoms, fractional coordinates:
Al (0.000, 0.000, 0.000) [4 per cell]
Cr (0.250, 0.250, 0.750) [4 per cell]
In (0.000, 0.000, 0.500) [4 per cell]

Summary:
Raw total energy = -5.34 eV/atom

---

The following is a DFT calculation (GGA-PBEsol) of an optimized crystal structure of ZrReH2.

Cell: 5.476 5.476 5.476 Å, 90.00 90.00 90.00°
Space group Fm-3m (No. 225)
Inequivalent atoms, fractional coordinates:
Zr (0.000, 0.000, 0.000) [4 per cell]
Re (0.000, 0.000, 0.500) [4 per cell]
H (0.250, 0.250, 0.250) [8 per cell]

Summary:
Raw total energy = -6.83 eV/atom

---
- - -
Once we're into a month of school, I let the kids write compliments whenever they have free time. I assign for a Do-Now from time to time.
NOTE: The first year I did this, I didn't monitor the notes until I happened to pick one off the floor by the buckets: "Stop picking your nose." Eek!
So now, once a day, I randomly pull out a note and read it to myself in front of the kids, smile, touch my heart if especially meaningful, and put back in all without saying a word. Keeps them focused on PURPOSE of the notes.
As the year progresses, compliments become more meaningful and heartfelt. Such an easy activity to implement and one that parents, kids, and I all love!
I bought my buckets in Michael's about 10 years ago. You can use beach buckets, baggies, lunch bags...it doesn't matter what you use as long as the kids fill them up!
Included in my FREE packet are these posters. Which one is your favorite? Mine? Be the Nice Kid.
Here are a few books focusing on Kindness which I love to share with my class.

Who doesn't love a good headband?
Are You a Bucket Filler is a short book for the kids that also follows a pattern.
Do you share with your friends? You do? Then you are a bucket filler!
Do you help others when they need it? You do? Then you are a bucket filler!
I've had kids come back from lunch, specials, assemblies, etc. and ask if they can bring one to someone that THEY caught being kind and caring. LOVE IT!
Bookmarks, bookmarks! I never have enough in my room! Very popular in my class!
I run off two colored bookmarks for each child in the beginning of the year. One for school, one for home. Then I have lots of BW bookmarks available that kids can color in school during free time.
Bracelets are huge motivators too! A badge of honor!
Is there a child you never gets compliments?
Short answer: No.
But in reality, yes.
I have a rule that EVERYONE must get at least one in their bucket before we can take home on Friday. If there are empty buckets, the compliments stay in buckets until following week when we'll check again.
We have some deeper conversations about this:
1. Looking for the good in someone.
2. If you are not getting many, why could that be?
This is hard for First Graders BUT it can be done.
I had a child recently who wasn't kind. To me. To his peers. To teachers. To himself.
Did he get compliments? Yes. But not many. Not deep ones. Not nearly as many as others.
Did he care? Yes. A lot. More about NOT GETTING them than concern about his behavior.
BUT the dialogue started. It helped. His behavior started- slowly- to change.
It's a start, right?
Would you like all of my Bucket Filling activities for FREE? Sign up for my newsletter here and get lots of tips and freebies to help strengthen your classroom community.
Keep on filling those buckets!

Did he get compliments? Yes. But not many. Not deep ones. Not nearly as many as others.
Did he care? Yes. A lot. More about NOT GETTING them than concern about his behavior.
BUT the dialogue started. It helped. His behavior started- slowly- to change.
It's a start, right?
Would you like all of my Bucket Filling activities for FREE? Sign up for my newsletter here and get lots of tips and freebies to help strengthen your classroom community.
Keep on filling those buckets!